• Job:
Set down the whole of the material below verbatim.
• Input:
<<<
# 1
## Nd2SmHo3Er6 (PBE)

Data for a geometry-optimized Nd2SmHo3Er6 structure.

Cell lengths 6.156, 10.654, 11.723 Å; angles 90.00, 100.05, 90.00 degrees
Space group C2/m (No. 12)
One atom of each set of equivalent atoms:
Nd 0.000 0.167 0.000
Sm 0.000 0.500 0.000
Ho 0.000 0.000 0.500
Ho 0.000 0.333 0.500
Er 0.248 0.500 0.746
Er 0.249 0.167 0.746

Computed properties:
The calculation puts the energy of formation at 0.0207 eV/atom. Its spin magnetization is 0.0000 μB per atom.

# 2
## NdSm2Ho6Er (PBE)

Data for a geometry-optimized NdSm2Ho6Er structure.

Cell lengths 9.031, 15.022, 9.622 Å; angles 90.00, 98.19, 90.00 degrees
Space group C2/c (No. 15)
One atom of each set of equivalent atoms:
Nd 0.000 0.020 0.250
Sm 0.248 0.052 0.544
Ho 0.066 0.190 0.943
Ho 0.100 0.393 0.119
Ho 0.205 0.225 0.315
Er 0.000 0.408 0.750

Computed properties:
The calculation puts the energy of formation at 0.1176 eV/atom. Its spin magnetization is 0.0000 μB per atom.

# 3
## Nd3Sm6HoEr2 (PBE)

Data for a geometry-optimized Nd3Sm6HoEr2 structure.

Cell lengths 6.262, 10.847, 11.958 Å; angles 90.00, 100.06, 90.00 degrees
Space group C2/m (No. 12)
One atom of each set of equivalent atoms:
Nd 0.000 0.000 0.000
Nd 0.000 0.333 0.000
Sm 0.249 0.000 0.745
Sm 0.249 0.333 0.745
Ho 0.000 0.500 0.500
Er 0.000 0.167 0.500

Computed properties:
The calculation puts the energy of formation at 0.0174 eV/atom. Its spin magnetization is 0.0000 μB per atom.

# 4
## Nd4Sm2HoEr (PBE)

Data for a geometry-optimized Nd4Sm2HoEr structure.

Cell lengths 5.134, 5.156, 10.176 Å; angles 90.00, 90.09, 90.00 degrees
Space group P2/m (No. 10)
One atom of each set of equivalent atoms:
Nd 0.000 0.000 0.249
Nd 0.500 0.500 0.250
Sm 0.000 0.500 0.000
Sm 0.500 0.000 0.500
Ho 0.000 0.500 0.500
Er 0.500 0.000 0.000

Computed properties:
The calculation puts the energy of formation at 0.0145 eV/atom. Its spin magnetization is 0.0000 μB per atom.

# 5
## Nd2Sm2Ho4Er (PBE)

Data for a geometry-optimized Nd2Sm2Ho4Er structure.

Cell lengths 18.742, 3.612, 9.605 Å; angles 90.00, 115.73, 90.00 degrees
Space group C2/m (No. 12)
One atom of each set of equivalent atoms:
Nd 0.165 0.000 0.001
Sm 0.147 0.500 0.663
Ho 0.019 0.000 0.332
Ho 0.185 0.500 0.336
Er 0.000 0.500 0.000

Computed properties:
The calculation puts the energy of formation at 0.0031 eV/atom. Its spin magnetization is 0.0000 μB per atom.

# 6
## NdSm2HoEr5 (PBE)

Data for a geometry-optimized NdSm2HoEr5 structure.

Cell lengths 8.733, 8.733, 15.188 Å; angles 90.00, 90.00, 90.00 degrees
Space group I4/mcm (No. 140)
One atom of each set of equivalent atoms:
Nd 0.000 0.000 0.250
Sm 0.116 0.384 0.000
Ho 0.000 0.500 0.250
Er 0.000 0.000 0.000
Er 0.209 0.291 0.364

Computed properties:
The calculation puts the energy of formation at 0.2719 eV/atom. Its spin magnetization is 0.0000 μB per atom.

# 7
## NdSmHo4Er2 (PBE)

Data for a geometry-optimized NdSmHo4Er2 structure.

Cell lengths 13.572, 13.242, 6.782 Å; angles 90.00, 119.97, 90.00 degrees
Space group C2/c (No. 15)
One atom of each set of equivalent atoms:
Nd 0.250 0.250 0.000
Sm 0.000 0.000 0.000
Ho 0.000 0.253 0.002
Ho 0.247 0.498 0.495
Er 0.000 0.500 0.000
Er 0.250 0.250 0.500

Computed properties:
The calculation puts the energy of formation at 0.4348 eV/atom. Its spin magnetization is 0.3749 μB per atom.

# 8
## Nd5SmHo2Er (PBE)

Data for a geometry-optimized Nd5SmHo2Er structure.

Cell lengths 5.654, 20.441, 10.745 Å; angles 90.00, 90.00, 90.00 degrees
Space group Cmc2_1 (No. 36)
One atom of each set of equivalent atoms:
Nd 0.000 0.016 0.000
Nd 0.000 0.281 0.290
Nd 0.000 0.297 0.685
Nd 0.000 0.389 0.004
Nd 0.000 0.481 0.724
Sm 0.000 0.200 0.990
Ho 0.000 0.111 0.719
Ho 0.000 0.115 0.293
Er 0.000 0.409 0.441

Computed properties:
The calculation puts the energy of formation at 0.1438 eV/atom. Its spin magnetization is 0.0000 μB per atom.

Question: What is the energy of formation in the third record?
Answer: 0.0174 eV/atom
>>>
• Written answer:
# 1
## Nd2SmHo3Er6 (PBE)

Data for a geometry-optimized Nd2SmHo3Er6 structure.

Cell lengths 6.156, 10.654, 11.723 Å; angles 90.00, 100.05, 90.00 degrees
Space group C2/m (No. 12)
One atom of each set of equivalent atoms:
Nd 0.000 0.167 0.000
Sm 0.000 0.500 0.000
Ho 0.000 0.000 0.500
Ho 0.000 0.333 0.500
Er 0.248 0.500 0.746
Er 0.249 0.167 0.746

Computed properties:
The calculation puts the energy of formation at 0.0207 eV/atom. Its spin magnetization is 0.0000 μB per atom.

# 2
## NdSm2Ho6Er (PBE)

Data for a geometry-optimized NdSm2Ho6Er structure.

Cell lengths 9.031, 15.022, 9.622 Å; angles 90.00, 98.19, 90.00 degrees
Space group C2/c (No. 15)
One atom of each set of equivalent atoms:
Nd 0.000 0.020 0.250
Sm 0.248 0.052 0.544
Ho 0.066 0.190 0.943
Ho 0.100 0.393 0.119
Ho 0.205 0.225 0.315
Er 0.000 0.408 0.750

Computed properties:
The calculation puts the energy of formation at 0.1176 eV/atom. Its spin magnetization is 0.0000 μB per atom.

# 3
## Nd3Sm6HoEr2 (PBE)

Data for a geometry-optimized Nd3Sm6HoEr2 structure.

Cell lengths 6.262, 10.847, 11.958 Å; angles 90.00, 100.06, 90.00 degrees
Space group C2/m (No. 12)
One atom of each set of equivalent atoms:
Nd 0.000 0.000 0.000
Nd 0.000 0.333 0.000
Sm 0.249 0.000 0.745
Sm 0.249 0.333 0.745
Ho 0.000 0.500 0.500
Er 0.000 0.167 0.500

Computed properties:
The calculation puts the energy of formation at 0.0174 eV/atom. Its spin magnetization is 0.0000 μB per atom.

# 4
## Nd4Sm2HoEr (PBE)

Data for a geometry-optimized Nd4Sm2HoEr structure.

Cell lengths 5.134, 5.156, 10.176 Å; angles 90.00, 90.09, 90.00 degrees
Space group P2/m (No. 10)
One atom of each set of equivalent atoms:
Nd 0.000 0.000 0.249
Nd 0.500 0.500 0.250
Sm 0.000 0.500 0.000
Sm 0.500 0.000 0.500
Ho 0.000 0.500 0.500
Er 0.500 0.000 0.000

Computed properties:
The calculation puts the energy of formation at 0.0145 eV/atom. Its spin magnetization is 0.0000 μB per atom.

# 5
## Nd2Sm2Ho4Er (PBE)

Data for a geometry-optimized Nd2Sm2Ho4Er structure.

Cell lengths 18.742, 3.612, 9.605 Å; angles 90.00, 115.73, 90.00 degrees
Space group C2/m (No. 12)
One atom of each set of equivalent atoms:
Nd 0.165 0.000 0.001
Sm 0.147 0.500 0.663
Ho 0.019 0.000 0.332
Ho 0.185 0.500 0.336
Er 0.000 0.500 0.000

Computed properties:
The calculation puts the energy of formation at 0.0031 eV/atom. Its spin magnetization is 0.0000 μB per atom.

# 6
## NdSm2HoEr5 (PBE)

Data for a geometry-optimized NdSm2HoEr5 structure.

Cell lengths 8.733, 8.733, 15.188 Å; angles 90.00, 90.00, 90.00 degrees
Space group I4/mcm (No. 140)
One atom of each set of equivalent atoms:
Nd 0.000 0.000 0.250
Sm 0.116 0.384 0.000
Ho 0.000 0.500 0.250
Er 0.000 0.000 0.000
Er 0.209 0.291 0.364

Computed properties:
The calculation puts the energy of formation at 0.2719 eV/atom. Its spin magnetization is 0.0000 μB per atom.

# 7
## NdSmHo4Er2 (PBE)

Data for a geometry-optimized NdSmHo4Er2 structure.

Cell lengths 13.572, 13.242, 6.782 Å; angles 90.00, 119.97, 90.00 degrees
Space group C2/c (No. 15)
One atom of each set of equivalent atoms:
Nd 0.250 0.250 0.000
Sm 0.000 0.000 0.000
Ho 0.000 0.253 0.002
Ho 0.247 0.498 0.495
Er 0.000 0.500 0.000
Er 0.250 0.250 0.500

Computed properties:
The calculation puts the energy of formation at 0.4348 eV/atom. Its spin magnetization is 0.3749 μB per atom.

# 8
## Nd5SmHo2Er (PBE)

Data for a geometry-optimized Nd5SmHo2Er structure.

Cell lengths 5.654, 20.441, 10.745 Å; angles 90.00, 90.00, 90.00 degrees
Space group Cmc2_1 (No. 36)
One atom of each set of equivalent atoms:
Nd 0.000 0.016 0.000
Nd 0.000 0.281 0.290
Nd 0.000 0.297 0.685
Nd 0.000 0.389 0.004
Nd 0.000 0.481 0.724
Sm 0.000 0.200 0.990
Ho 0.000 0.111 0.719
Ho 0.000 0.115 0.293
Er 0.000 0.409 0.441

Computed properties:
The calculation puts the energy of formation at 0.1438 eV/atom. Its spin magnetization is 0.0000 μB per atom.

Question: What is the energy of formation in the third record?
Answer: 0.0174 eV/atom